== Source ==
<<<
Theoretical powder diffraction line list
Compound: BaReN3
Radiation: CuKα
Structure: a cell relaxed with PBE
Intensities are scaled so that the largest is 100.

Peak list (12 most intense, 2θ = 5–70°, by intensity)
| d (Å) | 2θ/deg | I_rel |
| --- | --- | --- |
| 3.599 | 24.74 | 100 |
| 3.090 | 28.89 | 64 |
| 3.037 | 29.41 | 47 |
| 2.584 | 34.71 | 28 |
| 1.937 | 46.90 | 26 |
| 3.486 | 25.55 | 24 |
| 3.957 | 22.47 | 20 |
| 3.202 | 27.87 | 15 |
| 2.746 | 32.61 | 15 |
| 1.928 | 47.14 | 15 |
| 5.708 | 15.52 | 14 |
| 1.549 | 59.68 | 14 |

Cell and atoms:
```
BaReN3
1.0
5.642 -5.708 0.000
5.642 5.708 0.000
-1.433 0.000 6.074
Ba Re N
4 4 12
direct
0.100 0.900 0.750
0.327 0.673 0.250
0.673 0.327 0.750
0.900 0.100 0.250
0.205 0.369 0.741
0.369 0.205 0.241
0.631 0.795 0.759
0.795 0.631 0.259
0.020 0.236 0.678
0.148 0.578 0.819
0.236 0.020 0.178
0.320 0.355 0.491
0.355 0.320 0.991
0.422 0.852 0.681
0.578 0.148 0.319
0.645 0.680 0.009
0.680 0.645 0.509
0.764 0.980 0.822
0.852 0.422 0.181
0.980 0.764 0.322
```


Computed powder diffractogram of Cs2SrScCl6 for a wavelength of 1.5418 Å, from a crystal structure in Alexandria, relaxed with GGA-PBE.
Lines closer than 0.1° are merged.

Atomic structure:
a b c (Å): 7.731 10.933 7.731
angles (deg): 90.00 90.00 90.00
Space group Pmmn (No. 59, origin choice 2)
One atom of each set of equivalent atoms:
Cs 0.250 0.000 0.250 (multiplicity 4)
Sr 0.250 0.250 0.749 (multiplicity 2)
Sc 0.250 0.750 0.751 (multiplicity 2)
Cl 0.012 0.750 0.513 (multiplicity 4)
Cl 0.012 0.750 0.989 (multiplicity 4)
Cl 0.250 0.512 0.750 (multiplicity 4)

Most intense lines, 2θ from 5° to 70°, sorted by position:
Position (°2θ), I/Imax
23.0, 100
28.3, 46
32.8, 72
40.4, 45
47.0, 49
53.0, 22
55.8, 17
58.5, 16
63.7, 25
68.7, 7
>>>

== Brief ==
The reader should repeat the notes further above unchanged.

== Solution ==
Theoretical powder diffraction line list
Compound: BaReN3
Radiation: CuKα
Structure: a cell relaxed with PBE
Intensities are scaled so that the largest is 100.

Peak list (12 most intense, 2θ = 5–70°, by intensity)
| d (Å) | 2θ/deg | I_rel |
| --- | --- | --- |
| 3.599 | 24.74 | 100 |
| 3.090 | 28.89 | 64 |
| 3.037 | 29.41 | 47 |
| 2.584 | 34.71 | 28 |
| 1.937 | 46.90 | 26 |
| 3.486 | 25.55 | 24 |
| 3.957 | 22.47 | 20 |
| 3.202 | 27.87 | 15 |
| 2.746 | 32.61 | 15 |
| 1.928 | 47.14 | 15 |
| 5.708 | 15.52 | 14 |
| 1.549 | 59.68 | 14 |

Cell and atoms:
```
BaReN3
1.0
5.642 -5.708 0.000
5.642 5.708 0.000
-1.433 0.000 6.074
Ba Re N
4 4 12
direct
0.100 0.900 0.750
0.327 0.673 0.250
0.673 0.327 0.750
0.900 0.100 0.250
0.205 0.369 0.741
0.369 0.205 0.241
0.631 0.795 0.759
0.795 0.631 0.259
0.020 0.236 0.678
0.148 0.578 0.819
0.236 0.020 0.178
0.320 0.355 0.491
0.355 0.320 0.991
0.422 0.852 0.681
0.578 0.148 0.319
0.645 0.680 0.009
0.680 0.645 0.509
0.764 0.980 0.822
0.852 0.422 0.181
0.980 0.764 0.322
```


Computed powder diffractogram of Cs2SrScCl6 for a wavelength of 1.5418 Å, from a crystal structure in Alexandria, relaxed with GGA-PBE.
Lines closer than 0.1° are merged.

Atomic structure:
a b c (Å): 7.731 10.933 7.731
angles (deg): 90.00 90.00 90.00
Space group Pmmn (No. 59, origin choice 2)
One atom of each set of equivalent atoms:
Cs 0.250 0.000 0.250 (multiplicity 4)
Sr 0.250 0.250 0.749 (multiplicity 2)
Sc 0.250 0.750 0.751 (multiplicity 2)
Cl 0.012 0.750 0.513 (multiplicity 4)
Cl 0.012 0.750 0.989 (multiplicity 4)
Cl 0.250 0.512 0.750 (multiplicity 4)

Most intense lines, 2θ from 5° to 70°, sorted by position:
Position (°2θ), I/Imax
23.0, 100
28.3, 46
32.8, 72
40.4, 45
47.0, 49
53.0, 22
55.8, 17
58.5, 16
63.7, 25
68.7, 7